Sind3ntosca - 3 Mini Album [2008]


New member

Sindentosca - Rhythm Harmony


Band yang hanya beranggotakan 1 orang ini cukup sederhana dalam menghasilkan karya-karyanya, hanya membutuhkan 1 ruangan, 1 perangkat komputer, 1 gitar, dan 1 buah mic condenser, mic khusus untuk komputer seperti terlihat di background. Bukan karena ingin terkesan independen dengan faham-faham do-it-yourself akut, namun lebih kepada keadaan si Jalu a.k.a the one and only pekerja seni di band ini yang emang sederhana. Namun dengan niat yang sungguh-sungguh, apapun kesulitan yang menghadang lambat laun mulai bisa dilalui. sindentosca terbentuk awal 99 dengan 3 orang personil, Jalu-vocal, Andre-gitar, dan Danny-bass. Kemudian awal 2001 seorang drummer cewek bernama Ree gabung, menjadi satu-satunya makhluk cantik di band ini. Lalu sindentosca terpecah, hanya tinggal Jalu dan Ree, sajodo. Dan setelah berjuang habis-habisan (maksudnya berkerumun aja di kamar doang :p) Ree keluar dari sindentosca tahun 2003. Akhirnya Jalu sendirian dan sampai sekarang lumayan sibuk mengharumkan nama sindentosca 90% melalui internet (dasar pemalas): bikin situs resmi sindentosca, bombardir e-mails, nyerang milis-milis, debat chatting, ngelobi di friendster dll, sampai mendapat tawaran manggung dan interview dari beberapa media cetak dan radio, juga diinterview dan dimuat di, situs asal Seattle, Amrik.

ketengan :

Sundaceltic is the core genre of sind3ntosca, it consist liquid lyric that heard differently each time it sang. Usually the nuance of the music is often mixed between sundanese and celtic (ireland) sound. Sundaceltic language or lyric didn't have meaning, sometimes it's like english, sometimes it's like traditional language, but it completely different language. Sundaceltic found by Jalu, the leading man of sind3ntosca.

"This album contains 8 sundaceltic songs that I’ve recorded each in different years, only with my vocal and guitar. Recorded only one take, created without any preparation, just play my guitar and create the melody of the vocal "on the fly" inside my soul, and walla! And that’s why the lyric kinda “blur” as hell! :p. This recording is really raw, it’s not clean, a bit noisy. "

"You know what? It’s ok to record your song with a bit noise, at least you’re honest. It’s ok to have different genre, at least you are who you are. It’s ok if you cannot sell your record and the radio wouldn’t play your songs. At least make it usefull, give it for free! You wouldn’t regret. And for me? I never try to sell my sundaceltic…yet. I just want to give it to you, hope this is something that you looking for. If you didn’t dig it, give it to someone else. That’s simple, and thank you anyway."

01 - sind3ntosca - Tag Along
02 - sind3ntosca - Sunda Opu
03 - sind3ntosca - Dayang
04 - sind3ntosca - Dayun
05 - sind3ntosca - Ikutaku
06 - sind3ntosca - Find Tomorrow
07 - sind3ntosca - Pase
08 - sind3ntosca - Sinkayo



[CENTER][B][U][size="5"]2008 - Sind3ntosca - Tiduran, Tertidur + Bertelur ++ [light Version][/size][/U][/B]


[I]Jalu said ; This album is a light version of its full 17 tracks album. Made using computer (FL STUDIO) and guitar, recorded in my bedroom, all by myself. Enjoy.[/I]

01 - sind3ntosca - Ryu
02 - sind3ntosca - My Name Is Bathroom
03 - sind3ntosca - 2nd Hand Smoker
04 - sind3ntosca - In and Out
05 - sind3ntosca - Gaunusukni Mulun
06 - sind3ntosca - Just Look At Me

-- The article is interrupted by materials data --
-- begin --
The following is a DFT calculation (PBE-GGA) of a relaxed structure of CaHPt3.

a b c (Å): 4.1582 4.1582 4.1582
angles (deg): 90.00 90.00 90.00
Positions (direct):
Ca 0.5000 0.5000 0.5000
Pt 0.0000 0.5000 0.0000
Pt 0.5000 0.0000 0.0000
Pt 0.0000 0.0000 0.5000
H 0.0000 0.0000 0.0000

Total magnetic moment in μB per formula unit: 0.00
Energy relative to the lowest polymorph listed for this composition in eV per atom: 0.0000

~~~~~

No. 1
# SrPr2In PBE relaxed
data_SrPr2In
_cell_length_a 5.4835
_cell_length_b 5.4835
_cell_length_c 18.1049
_cell_angle_alpha 90.00
_cell_angle_beta 90.00
_cell_angle_gamma 120.00
_space_group_name_H-M_alt 'R 3 m'
_space_group_IT_number 160
_space_group_name_Hall 'R 3 -2"'
loop_
_atom_site_label
_atom_site_fract_x
_atom_site_fract_y
_atom_site_fract_z
_atom_site_occupancy
Sr1 0.0000 0.0000 0.0000 1
Pr1 0.0000 0.0000 0.5538 1
Pr2 0.0000 0.0000 0.7864 1
In1 0.0000 0.0000 0.1978 1
# ρ: 5.12 g/cm3
# Energy relative to the lowest polymorph listed for this composition: 179 meV per atom
# D(E_F): 1.45 states/eV per atom
# Energy of formation: 0.015 eV/atom

=====

No. 2
# SrPrIn PBE relaxed
data_SrPrIn
_cell_length_a 3.663
_cell_length_b 3.663
_cell_length_c 18.086
_cell_angle_alpha 90.00
_cell_angle_beta 90.00
_cell_angle_gamma 90.00
_space_group_name_H-M_alt 'I 4 m m'
_space_group_IT_number 107
_space_group_name_Hall 'I 4 -2'
loop_
_atom_site_label
_atom_site_fract_x
_atom_site_fract_y
_atom_site_fract_z
_atom_site_occupancy
Sr1 0.000 0.000 0.000 1
Pr1 0.000 0.000 0.793 1
In1 0.000 0.000 0.180 1
# ρ: 4.70 g/cm3
# Energy relative to the lowest polymorph listed for this composition: 493 meV per atom
# D(E_F): 0.89 states/eV per atom
# Energy of formation: 0.146 eV/atom

=====

No. 3
# SrPrIn6 PBE relaxed
data_SrPrIn6
_cell_length_a 4.793
_cell_length_b 4.793
_cell_length_c 9.615
_cell_angle_alpha 90.00
_cell_angle_beta 90.00
_cell_angle_gamma 90.00
_space_group_name_H-M_alt 'P 4/m m m'
_space_group_IT_number 123
_space_group_name_Hall '-P 4 2'
loop_
_atom_site_label
_atom_site_fract_x
_atom_site_fract_y
_atom_site_fract_z
_atom_site_occupancy
Sr1 0.000 0.000 0.000 1
Pr1 0.000 0.000 0.500 1
In1 0.000 0.500 0.254 1
In2 0.500 0.500 0.000 1
In3 0.500 0.500 0.500 1
# ρ: 6.90 g/cm3
# D(E_F): 0.40 states/eV per atom
# Energy of formation: -0.383 eV/atom

~~~~~

Here is an optimized crystal structure of TcP2IrS from Alexandria. Energies are from PBE.

Unit cell a=4.577 b=4.577 c=4.426 alpha=90.00 beta=90.00 gamma=90.00
Atoms (fractional coordinates):
1 P 0.000 0.500 0.000
2 P 0.500 0.000 0.000
3 S 0.000 0.000 0.500
4 Ir 0.500 0.500 0.500
5 Tc 0.000 0.000 0.000

Results
**Spin magnetization**: 0.000 μB per cell
**E_tot**: -5.783 eV per atom
**SG**: P4/mmm (123)
**Polymorph energy (0 for the lowest one)**: 0.0 meV/atom
**Energy relative to the elements, uncorrected**: 1052 meV per atom


Here is an optimized crystal structure of Tb7Sm4Pu from Alexandria. Energies are from PBE.
-- stop --
-- End of the materials data --

